Exercise >
Could you copy all of the calculation results below character by character?

Data >
No. 1
For MgMn6O6F6, DFT lattice parameters and positions (GGA+U) gives the simulated PXRD pattern in this record (copper Kα).

Cell and atoms:
```
data_MgMn6O6F6
_space_group_name_H-M_alt 'P 1'
_space_group_IT_number 1
_cell_length_a 5.016
_cell_length_b 9.147
_cell_length_c 5.240
_cell_angle_alpha 90.00
_cell_angle_beta 98.92
_cell_angle_gamma 90.00
loop_
_space_group_symop_operation_xyz
'x,y,z'
loop_
_atom_site_label
_atom_site_fract_x
_atom_site_fract_y
_atom_site_fract_z
Mg1 0.000 0.000 0.000
Mn1 0.041 0.337 0.380
Mn2 0.041 0.663 0.380
Mn3 0.435 0.000 0.481
Mn4 0.486 0.184 0.993
Mn5 0.486 0.816 0.993
Mn6 0.672 0.500 0.852
O1 0.224 0.165 0.235
O2 0.224 0.835 0.235
O3 0.319 0.000 0.830
O4 0.716 0.335 0.130
O5 0.716 0.665 0.130
O6 0.899 0.500 0.559
F1 0.203 0.500 0.174
F2 0.344 0.331 0.683
F3 0.344 0.669 0.683
F4 0.731 0.000 0.235
F5 0.769 0.141 0.759
F6 0.769 0.859 0.759
```

Top 12 peaks for 15° ≤ 2θ ≤ 90°, in order of falling intensity:
34.13°, I = 100, hkl 0 3 1; 40.09°, I = 92, hkl 1 3 1; 22.84°, I = 88, hkl 1 0 -1; 20.38°, I = 78, hkl 1 1 0; 30.14°, I = 68, hkl 1 2 -1; 26.76°, I = 63, hkl 1 0 1; 24.85°, I = 45, hkl 1 1 -1; 64.16°, I = 42, hkl 3 3 -1; 28.52°, I = 42, hkl 1 1 1; 34.54°, I = 40, hkl 1 3 0; 42.80°, I = 35, hkl 2 2 -1; 47.76°, I = 34, hkl 2 1 -2

No. 2
For MgMn8O8F8, DFT lattice parameters and positions (GGA+U) gives the simulated PXRD pattern in this record (copper Kα).

Cell and atoms:
```
data_MgMn8O8F8
_space_group_name_H-M_alt 'P 1'
_space_group_IT_number 1
_cell_length_a 4.808
_cell_length_b 4.889
_cell_length_c 12.651
_cell_angle_alpha 90.27
_cell_angle_beta 90.12
_cell_angle_gamma 90.13
loop_
_space_group_symop_operation_xyz
'x,y,z'
loop_
_atom_site_label
_atom_site_fract_x
_atom_site_fract_y
_atom_site_fract_z
Mg1 0.000 0.000 0.000
Mn1 0.010 0.565 0.252
Mn2 0.010 0.577 0.741
Mn3 0.071 0.513 0.499
Mn4 0.323 0.530 0.990
Mn5 0.504 0.989 0.138
Mn6 0.506 0.002 0.379
Mn7 0.514 0.002 0.856
Mn8 0.570 0.074 0.617
O1 0.190 0.742 0.117
O2 0.192 0.758 0.867
O3 0.217 0.719 0.383
O4 0.370 0.225 0.499
O5 0.381 0.141 0.997
O6 0.674 0.816 0.255
O7 0.708 0.853 0.738
O8 0.874 0.351 0.623
F1 0.252 0.781 0.622
F2 0.313 0.249 0.247
F3 0.339 0.297 0.752
F4 0.711 0.727 0.990
F5 0.757 0.806 0.501
F6 0.824 0.298 0.370
F7 0.839 0.232 0.115
F8 0.849 0.243 0.885
```

Top 12 peaks for 15° ≤ 2θ ≤ 90°, in order of falling intensity:
25.99°, I = 100, hkl 1 -1 0; 33.85°, I = 41, hkl 0 1 4; 38.71°, I = 33, hkl -1 1 4; 33.67°, I = 31, hkl 0 1 -4; 50.78°, I = 20, hkl 1 -2 4; 26.93°, I = 19, hkl 1 1 -1; 58.35°, I = 15, hkl 0 0 8; 33.96°, I = 15, hkl 1 0 4; 51.21°, I = 13, hkl -2 1 4; 50.93°, I = 11, hkl -1 2 4; 29.61°, I = 11, hkl -1 1 2; 43.91°, I = 10, hkl 1 -2 2

~~~~~

Record 1
Simulated powder XRD pattern
Compound: CsEuCl3
Radiation: copper Kα
Structure: a DFT-relaxed cell (GGA-PBE, the Materials Project)

Structure:
```
data_CsEuCl3
_symmetry_space_group_name_H-M 'P m -3 m'
_symmetry_Int_Tables_number 221
_symmetry_space_group_name_Hall '-P 4 2 3'
_cell_length_a 5.683
_cell_length_b 5.683
_cell_length_c 5.683
_cell_angle_alpha 90.00
_cell_angle_beta 90.00
_cell_angle_gamma 90.00
loop_
_atom_site_label
_atom_site_type_symbol
_atom_site_fract_x
_atom_site_fract_y
_atom_site_fract_z
Cs1 Cs 0.000 0.000 0.000
Eu1 Eu 0.500 0.500 0.500
Cl1 Cl 0.000 0.500 0.500
```

Peak list (10 most intense, 10 to 80 degrees two-theta, sorted by position)
| h k l | 2θ/deg | I_rel |
| --- | --- | --- |
| 1 0 0 | 15.59 | 7 |
| 1 1 0 | 22.12 | 100 |
| 2 0 0 | 31.49 | 53 |
| 2 1 1 | 38.82 | 48 |
| 2 2 0 | 45.13 | 37 |
| 3 1 0 | 50.81 | 22 |
| 2 2 2 | 56.06 | 13 |
| 3 2 1 | 61.01 | 26 |
| 4 1 1 | 70.28 | 13 |
| 4 2 0 | 74.70 | 16 |

---

Record 2
Simulated powder XRD pattern
Compound: FePd2N2
Radiation: copper Kα
Structure: a DFT-relaxed cell (GGA-PBE, the Materials Project)

Structure:
```
data_FePd2N2
_symmetry_space_group_name_H-M 'C 1 2/m 1'
_symmetry_Int_Tables_number 12
_symmetry_space_group_name_Hall '-C 2y'
_cell_length_a 4.850
_cell_length_b 2.793

Solution >
No. 1
For MgMn6O6F6, DFT lattice parameters and positions (GGA+U) gives the simulated PXRD pattern in this record (copper Kα).

Cell and atoms:
```
data_MgMn6O6F6
_space_group_name_H-M_alt 'P 1'
_space_group_IT_number 1
_cell_length_a 5.016
_cell_length_b 9.147
_cell_length_c 5.240
_cell_angle_alpha 90.00
_cell_angle_beta 98.92
_cell_angle_gamma 90.00
loop_
_space_group_symop_operation_xyz
'x,y,z'
loop_
_atom_site_label
_atom_site_fract_x
_atom_site_fract_y
_atom_site_fract_z
Mg1 0.000 0.000 0.000
Mn1 0.041 0.337 0.380
Mn2 0.041 0.663 0.380
Mn3 0.435 0.000 0.481
Mn4 0.486 0.184 0.993
Mn5 0.486 0.816 0.993
Mn6 0.672 0.500 0.852
O1 0.224 0.165 0.235
O2 0.224 0.835 0.235
O3 0.319 0.000 0.830
O4 0.716 0.335 0.130
O5 0.716 0.665 0.130
O6 0.899 0.500 0.559
F1 0.203 0.500 0.174
F2 0.344 0.331 0.683
F3 0.344 0.669 0.683
F4 0.731 0.000 0.235
F5 0.769 0.141 0.759
F6 0.769 0.859 0.759
```

Top 12 peaks for 15° ≤ 2θ ≤ 90°, in order of falling intensity:
34.13°, I = 100, hkl 0 3 1; 40.09°, I = 92, hkl 1 3 1; 22.84°, I = 88, hkl 1 0 -1; 20.38°, I = 78, hkl 1 1 0; 30.14°, I = 68, hkl 1 2 -1; 26.76°, I = 63, hkl 1 0 1; 24.85°, I = 45, hkl 1 1 -1; 64.16°, I = 42, hkl 3 3 -1; 28.52°, I = 42, hkl 1 1 1; 34.54°, I = 40, hkl 1 3 0; 42.80°, I = 35, hkl 2 2 -1; 47.76°, I = 34, hkl 2 1 -2

No. 2
For MgMn8O8F8, DFT lattice parameters and positions (GGA+U) gives the simulated PXRD pattern in this record (copper Kα).

Cell and atoms:
```
data_MgMn8O8F8
_space_group_name_H-M_alt 'P 1'
_space_group_IT_number 1
_cell_length_a 4.808
_cell_length_b 4.889
_cell_length_c 12.651
_cell_angle_alpha 90.27
_cell_angle_beta 90.12
_cell_angle_gamma 90.13
loop_
_space_group_symop_operation_xyz
'x,y,z'
loop_
_atom_site_label
_atom_site_fract_x
_atom_site_fract_y
_atom_site_fract_z
Mg1 0.000 0.000 0.000
Mn1 0.010 0.565 0.252
Mn2 0.010 0.577 0.741
Mn3 0.071 0.513 0.499
Mn4 0.323 0.530 0.990
Mn5 0.504 0.989 0.138
Mn6 0.506 0.002 0.379
Mn7 0.514 0.002 0.856
Mn8 0.570 0.074 0.617
O1 0.190 0.742 0.117
O2 0.192 0.758 0.867
O3 0.217 0.719 0.383
O4 0.370 0.225 0.499
O5 0.381 0.141 0.997
O6 0.674 0.816 0.255
O7 0.708 0.853 0.738
O8 0.874 0.351 0.623
F1 0.252 0.781 0.622
F2 0.313 0.249 0.247
F3 0.339 0.297 0.752
F4 0.711 0.727 0.990
F5 0.757 0.806 0.501
F6 0.824 0.298 0.370
F7 0.839 0.232 0.115
F8 0.849 0.243 0.885
```

Top 12 peaks for 15° ≤ 2θ ≤ 90°, in order of falling intensity:
25.99°, I = 100, hkl 1 -1 0; 33.85°, I = 41, hkl 0 1 4; 38.71°, I = 33, hkl -1 1 4; 33.67°, I = 31, hkl 0 1 -4; 50.78°, I = 20, hkl 1 -2 4; 26.93°, I = 19, hkl 1 1 -1; 58.35°, I = 15, hkl 0 0 8; 33.96°, I = 15, hkl 1 0 4; 51.21°, I = 13, hkl -2 1 4; 50.93°, I = 11, hkl -1 2 4; 29.61°, I = 11, hkl -1 1 2; 43.91°, I = 10, hkl 1 -2 2

~~~~~

Record 1
Simulated powder XRD pattern
Compound: CsEuCl3
Radiation: copper Kα
Structure: a DFT-relaxed cell (GGA-PBE, the Materials Project)

Structure:
```
data_CsEuCl3
_symmetry_space_group_name_H-M 'P m -3 m'
_symmetry_Int_Tables_number 221
_symmetry_space_group_name_Hall '-P 4 2 3'
_cell_length_a 5.683
_cell_length_b 5.683
_cell_length_c 5.683
_cell_angle_alpha 90.00
_cell_angle_beta 90.00
_cell_angle_gamma 90.00
loop_
_atom_site_label
_atom_site_type_symbol
_atom_site_fract_x
_atom_site_fract_y
_atom_site_fract_z
Cs1 Cs 0.000 0.000 0.000
Eu1 Eu 0.500 0.500 0.500
Cl1 Cl 0.000 0.500 0.500
```

Peak list (10 most intense, 10 to 80 degrees two-theta, sorted by position)
| h k l | 2θ/deg | I_rel |
| --- | --- | --- |
| 1 0 0 | 15.59 | 7 |
| 1 1 0 | 22.12 | 100 |
| 2 0 0 | 31.49 | 53 |
| 2 1 1 | 38.82 | 48 |
| 2 2 0 | 45.13 | 37 |
| 3 1 0 | 50.81 | 22 |
| 2 2 2 | 56.06 | 13 |
| 3 2 1 | 61.01 | 26 |
| 4 1 1 | 70.28 | 13 |
| 4 2 0 | 74.70 | 16 |

---

Record 2
Simulated powder XRD pattern
Compound: FePd2N2
Radiation: copper Kα
Structure: a DFT-relaxed cell (GGA-PBE, the Materials Project)

Structure:
```
data_FePd2N2
_symmetry_space_group_name_H-M 'C 1 2/m 1'
_symmetry_Int_Tables_number 12
_symmetry_space_group_name_Hall '-C 2y'
_cell_length_a 4.850
_cell_length_b 2.793